Saturday, February 24, 2018

Large Scale redevelopment proposal on the Dunwoody City Council Agenda for Monday.

Monday night the Dunwoody City Council will be discussing a large scale rezoning for office & residential in the perimeter area and the developer has offered additional concessions after the deadline of the public packet, therefore I have included it here along with other documentation and information.


  1. Dear Council members,

• Here the entry breaks off for crystal structures:
[1]
Compound: Nd2MnSi3Pt12
Source: Alexandria
Functional: GGA-PBE
Structure: relaxed

Lattice parameters (Å, degrees): 8.2380 8.2380 18.1681 90.00 90.00 120.00
Last column: nearest neighbours and their distance in Å.
Space group R-3m (No. 166, hexagonal axes)
Inequivalent atoms, fractional coordinates:
Nd  0.0000  0.0000  0.1113  6 Pt 2.92-2.93
Mn  0.0000  0.0000  0.5000  6 Pt 2.50
Si  0.0000  0.5000  0.0000  6 Pt 2.33-2.37
Pt  0.0023  0.5011  0.8720  1 Si 2.33, 1 Mn 2.50
Pt  0.0290  0.5145  0.3684  2 Si 2.37

E_form (uncorrected) = -0.47 eV per atom

=====

[2]
Compound: Pt3SeO
Source: Alexandria
Functional: GGA-PBE
Structure: relaxed

Lattice parameters (Å, degrees): 4.3265 4.3265 4.3265 90.00 90.00 90.00
Last column: nearest neighbours and their distance in Å.
Space group Pm-3m (No. 221)
Inequivalent atoms, fractional coordinates:
Pt  0.0000  0.0000  0.5000  2 O 2.16
Se  0.5000  0.5000  0.5000  12 Pt 3.06
O  0.0000  0.0000  0.0000  6 Pt 2.16

E_form (uncorrected) = 0.70 eV per atom
ΔE to the lowest computed polymorph = 0 meV per atom

=====

[3]
Compound: ZnReTe4
Source: Alexandria
Functional: GGA-PBE
Structure: relaxed

Lattice parameters (Å, degrees): 8.9327 8.9327 8.9327 90.00 90.00 90.00
Last column: nearest neighbours and their distance in Å.
Space group F-43m (No. 216)
Inequivalent atoms, fractional coordinates:
Zn  0.0000  0.0000  0.0000  12 Te 3.71, 4 Re 3.87
Re  0.2500  0.2500  0.7500  12 Te 3.70, 4 Zn 3.87
Te  0.1240  0.1240  0.3760  6 Te 3.13-3.18

E_form (uncorrected) = 1.30 eV per atom

=====

[4]
Compound: Bi2NO
Source: Alexandria
Functional: GGA-PBE
Structure: relaxed

Lattice parameters (Å, degrees): 5.6310 5.6310 10.8588 90.00 90.00 90.00
Last column: nearest neighbours and their distance in Å.
Space group I-42d (No. 122)
Inequivalent atoms, fractional coordinates:
Bi  0.2412  0.2500  0.1250  2 N 2.38, 2 O 2.44
N  0.0000  0.0000  0.0000  4 Bi 2.38
O  0.0000  0.0000  0.5000  4 Bi 2.44

E_form (uncorrected) = 0.06 eV per atom
ΔE to the lowest computed polymorph = 0 meV per atom

=====

[5]
Compound: CeInPb
Source: Alexandria
Functional: GGA-PBE
Structure: relaxed

Lattice parameters (Å, degrees): 4.8695 4.8695 4.4080 90.00 90.00 120.00
Last column: nearest neighbours and their distance in Å.
Space group P3m1 (No. 156)
Inequivalent atoms, fractional coordinates:
Ce  0.0000  0.0000  0.0000  3 In 3.23, 3 Pb 3.29
In  0.6667  0.3333  0.6394  3 Pb 3.02, 3 Ce 3.23
Pb  0.3333  0.6667  0.3874  3 In 3.02, 3 Ce 3.29

ΔE to the lowest computed polymorph = 24 meV per atom
energy of formation = -262 meV per atom

=====

[6]
Compound: KRb2SiNi
Source: Alexandria
Functional: GGA-PBE
Structure: relaxed

Lattice parameters (Å, degrees): 6.6813 6.6813 4.4697 90.00 90.00 90.00
Last column: nearest neighbours and their distance in Å.
Space group P4/mmm (No. 123)
Inequivalent atoms, fractional coordinates:
K  0.0000  0.0000  0.0000  8 Rb 4.02, 2 K 4.47
Rb  0.0000  0.5000  0.5000  2 Ni 3.34
Si  0.5000  0.5000  0.0000  2 Ni 2.23

    You had me at Copenhagenize.

    I support the proposed rezoning and redevelopment of the former city hall site. All of our approved master plans reflect our residents desire to reinvent Dunwoody for HUMANS first, instead of cars. Imagine if the past 30 years of build out reflected the HUMANIZATION that is expressed with the Grubb proposal. We’re talking about building out something that basically does not exist in our state: A development that builds high quality separated bike & pedestrian facilities that offer casual users a safe & comfortable experience to simply move around a mile or so to get to shops, work or transit. Hammond Drive and along Ashford Dunwoody is programmed to have wide, physically separated Bike/Ped infrastructure.

    The Grubb development, along with the approved PCID Trail Master Plan, will be a keystone project that we can show to the entire state, leaping beyond the “pretend” live work play developments that have been built in the past decade in our region.

    Allowing the Grubb plan to be built, along with the approved bike/ped/trail plans, will put Perimeter / Dunwoody in the national spotlight of implementing a best-practices livable, CONNECTED sense of place. Other developments like Avalon are “drive to” isolated islands, requiring the use of a car. This is the 180 of that.

    This is live-work-play and then some.

    When you plan for cars & traffic, you get cars & traffic. When you can plan for people & places, you get people and places. This development puts PEOPLE FIRST over cars.

    I lived in Copenhagen for a year. Experienced living there. Denmark is rated as the highest quality of life in the world. Let’s get a little slice of that right here in our community.

    Once built, we can all stand tall and be proud to show this project off.

    Please do not be focused on legislating minimum car parking spaces. Please do not be focused on “traffic”. Focus on people. On places. On living.

    In transportation planning and developer speak, you’ll hear about the term “Level of Service”. It’s about moving cars as quickly and efficiently as possible. Instead, let’s talk about Level of Service for humans. Safe Streets. For those that live, play & go to school HERE.

    We’re in the midst of re-designing our city & streets for people. When you’re out walking or riding a bike to school or the coffee shop, it’s humanizing. It creates a sense of place. It physically & metaphorically connects people together within our community.

    With your approval of this project, you are taking another step by lowering my property taxes. The ROI per acre back to the city coffers will be tremendously greater than what exists today. If there is any place that can accommodate higher density, this area is it. 1/2 mile from heavy rail MARTA station and more.

  2. After discussion, this item was deferred until March 26th.
